Input.
+++
Here is a single C7H9ClN2 molecule from OMol25. Energies are from ωB97M-V with the def2-TZVPD basis set.

Calculated values
Gap between HOMO and LUMO (spin up / spin down) (eV): 8.43 / 7.82
Molecular weight (g/mol): 156.6
Energy relative to the best compared isomer or geometry (same formula, charge and spin) (kJ/mol): 502.58

Element x y z (Å)
1 C 0.274 0.607 -0.174
2 C 0.003 -0.696 -0.442
3 C 1.619 0.794 -0.387
4 C -1.271 -1.376 -0.437
5 C -1.985 -0.796 0.829
6 C -2.189 0.661 0.745
7 C 2.634 1.841 -0.205
8 N 2.164 -0.466 -0.735
9 N 1.155 -1.299 -0.819
10 Cl -2.031 1.696 2.153
11 H -1.832 -1.069 -1.414
12 H -1.101 -2.367 -0.333
13 H -2.952 -1.330 0.839
14 H -1.478 -1.256 1.661
15 H -2.932 1.052 0.067
16 H 2.611 2.659 -1.015
17 H 2.369 2.279 0.752
18 H 3.637 1.314 -0.210
19 H 1.304 -2.248 -0.875


Here is a single C7H9ClN2 molecule from OMol25. Energies are from ωB97M-V with the def2-TZVPD basis set.

Calculated values
Gap between HOMO and LUMO (eV): 7.74
Molecular weight (g/mol): 156.6
Energy relative to the best compared isomer or geometry (same formula, charge and spin) (kJ/mol): 277.32
SMILES string: C/C=c1\[nH]cn\c1=C/CCl

Element x y z (Å)
1 C -2.481 -0.704 1.639
2 C -1.616 -0.640 0.556
3 C -0.400 -0.036 0.567
4 N 0.199 0.272 1.776
5 C 1.431 0.849 1.525
6 N 1.771 0.786 0.288
7 C 0.641 0.271 -0.420
8 C 0.589 0.068 -1.752
9 C 1.963 0.394 -2.879
10 Cl 2.165 -1.074 -3.804
11 H -3.360 -1.181 1.163
12 H -2.893 0.278 2.103
13 H -2.034 -1.123 2.615
14 H -1.992 -0.937 -0.422
15 H -0.284 0.238 2.709
16 H 2.168 0.964 2.285
17 H -0.266 -0.313 -2.210
18 H 2.676 0.680 -2.145
19 H 1.725 1.208 -3.595


Here is 2 unconnected molecules or ions with the total composition C7H9ClNS2 from OMol25. Energies are from ωB97M-V with the def2-TZVPD basis set.

Calculated values
Gap between HOMO and LUMO (eV): 8.01
Total charge: +1
Molecular weight (g/mol): 206.7
Energy relative to the best compared isomer or geometry (same formula, charge and spin) (kJ/mol): 184.77

Element x y z (Å)
1 C 2.160 0.593 -1.083
2 C 2.902 -0.540 -1.352
3 C 1.947 0.768 0.273
4 C 2.341 -0.299 1.039
5 C -2.049 0.522 -0.158
6 C -2.446 -0.864 -0.635
7 C -0.884 -0.912 1.446
8 N -1.368 0.393 1.234
9 S 3.194 -1.428 0.074
10 S -1.385 -1.995 0.292
11 Cl 0.989 2.173 0.850
12 H 1.812 1.346 -1.889
13 H 3.171 -0.854 -2.366
14 H -1.362 0.702 -0.917
15 H -2.907 1.174 -0.087
16 H -3.589 -1.017 -0.463
17 H -2.268 -1.126 -1.732
18 H 2.199 -0.311 2.049
19 H -0.499 1.028 1.338
20 H -1.958 0.648 2.086


Here is 2 unconnected molecules or ions with the total composition C7H9F2NO2 from OMol25. Energies are from ωB97M-V with the def2-TZVPD basis set.

Calculated values
Gap between HOMO and LUMO (spin up / spin down) (eV): 7.98 / 7.98
Molecular weight (g/mol): 177.2
Energy relative to the best compared isomer or geometry (same formula, charge and spin) (kJ/mol): 194.20

Element x y z (Å)
1 C -0.996 -0.776 0.597
2 C 1.309 2.063 0.363
3 C 2.510 -0.232 0.886
4 C 2.258 0.889 -0.055
5 C 0.265 -0.107 0.631
6 C 0.765 0.867 -0.262
7 C -3.152 -0.748 -0.420
8 N 1.316 -0.654 1.256
9 O -1.202 -1.693 1.403
10 O -1.755 -0.332 -0.386
11 F -0.531 -1.373 -2.752
12 F 0.220 0.943 -1.568
13 H 1.074 2.218 1.468
14 H 1.286 2.982 -0.174
15 H -0.735 -0.708 -2.231
16 H 3.474 -0.655 1.139
17 H 3.025 1.120 -0.861
18 H -3.266 -1.074 0.666
19 H -3.115 -1.500 -1.242
20 H -3.783 0.147 -0.446
21 H 1.032 -1.378 1.986


Here is a single C7H9FO molecule from OMol25. Energies are from ωB97M-V with the def2-TZVPD basis set.

Calculated values
Gap between HOMO and LUMO (eV): 9.71
Molecular weight (g/mol): 128.1
Energy relative to the best compared isomer or geometry (same formula, charge and spin) (kJ/mol): 17.71
SMILES string: CC1(C)C=CC(=O)[C@@H]1F

Element x y z (Å)
1 C 0.698 -1.153 0.728
2 C 0.172 -0.044 -0.193
3 C 0.153 1.296 0.546
4 C -1.212 -0.395 -0.670
5 C -1.295 -0.752 -1.951
6 C -0.012 -0.681 -2.635
7 O 0.324 -1.001 -3.735
8 C 0.999 0.022 -1.487
9 F 2.188 -0.639 -1.431
10 H 1.695 -0.900 1.085
11 H 0.760 -2.097 0.193
+++

What to do.
The reader should return the lines above from the one with "1.661" to the one with "-0.446" verbatim.

Worked solution.
14 H -1.478 -1.256 1.661
15 H -2.932 1.052 0.067
16 H 2.611 2.659 -1.015
17 H 2.369 2.279 0.752
18 H 3.637 1.314 -0.210
19 H 1.304 -2.248 -0.875


Here is a single C7H9ClN2 molecule from OMol25. Energies are from ωB97M-V with the def2-TZVPD basis set.

Calculated values
Gap between HOMO and LUMO (eV): 7.74
Molecular weight (g/mol): 156.6
Energy relative to the best compared isomer or geometry (same formula, charge and spin) (kJ/mol): 277.32
SMILES string: C/C=c1\[nH]cn\c1=C/CCl

Element x y z (Å)
1 C -2.481 -0.704 1.639
2 C -1.616 -0.640 0.556
3 C -0.400 -0.036 0.567
4 N 0.199 0.272 1.776
5 C 1.431 0.849 1.525
6 N 1.771 0.786 0.288
7 C 0.641 0.271 -0.420
8 C 0.589 0.068 -1.752
9 C 1.963 0.394 -2.879
10 Cl 2.165 -1.074 -3.804
11 H -3.360 -1.181 1.163
12 H -2.893 0.278 2.103
13 H -2.034 -1.123 2.615
14 H -1.992 -0.937 -0.422
15 H -0.284 0.238 2.709
16 H 2.168 0.964 2.285
17 H -0.266 -0.313 -2.210
18 H 2.676 0.680 -2.145
19 H 1.725 1.208 -3.595


Here is 2 unconnected molecules or ions with the total composition C7H9ClNS2 from OMol25. Energies are from ωB97M-V with the def2-TZVPD basis set.

Calculated values
Gap between HOMO and LUMO (eV): 8.01
Total charge: +1
Molecular weight (g/mol): 206.7
Energy relative to the best compared isomer or geometry (same formula, charge and spin) (kJ/mol): 184.77

Element x y z (Å)
1 C 2.160 0.593 -1.083
2 C 2.902 -0.540 -1.352
3 C 1.947 0.768 0.273
4 C 2.341 -0.299 1.039
5 C -2.049 0.522 -0.158
6 C -2.446 -0.864 -0.635
7 C -0.884 -0.912 1.446
8 N -1.368 0.393 1.234
9 S 3.194 -1.428 0.074
10 S -1.385 -1.995 0.292
11 Cl 0.989 2.173 0.850
12 H 1.812 1.346 -1.889
13 H 3.171 -0.854 -2.366
14 H -1.362 0.702 -0.917
15 H -2.907 1.174 -0.087
16 H -3.589 -1.017 -0.463
17 H -2.268 -1.126 -1.732
18 H 2.199 -0.311 2.049
19 H -0.499 1.028 1.338
20 H -1.958 0.648 2.086


Here is 2 unconnected molecules or ions with the total composition C7H9F2NO2 from OMol25. Energies are from ωB97M-V with the def2-TZVPD basis set.

Calculated values
Gap between HOMO and LUMO (spin up / spin down) (eV): 7.98 / 7.98
Molecular weight (g/mol): 177.2
Energy relative to the best compared isomer or geometry (same formula, charge and spin) (kJ/mol): 194.20

Element x y z (Å)
1 C -0.996 -0.776 0.597
2 C 1.309 2.063 0.363
3 C 2.510 -0.232 0.886
4 C 2.258 0.889 -0.055
5 C 0.265 -0.107 0.631
6 C 0.765 0.867 -0.262
7 C -3.152 -0.748 -0.420
8 N 1.316 -0.654 1.256
9 O -1.202 -1.693 1.403
10 O -1.755 -0.332 -0.386
11 F -0.531 -1.373 -2.752
12 F 0.220 0.943 -1.568
13 H 1.074 2.218 1.468
14 H 1.286 2.982 -0.174
15 H -0.735 -0.708 -2.231
16 H 3.474 -0.655 1.139
17 H 3.025 1.120 -0.861
18 H -3.266 -1.074 0.666
19 H -3.115 -1.500 -1.242
20 H -3.783 0.147 -0.446